Material:
~~~
# HfBiPt
Theoretical powder diffraction line list, CuKα. Input: DFT lattice parameters and positions (GGA-PBE).

Cell lengths 7.002, 4.015, 9.757 Å; angles 90.00, 90.00, 90.00 degrees
Fractional positions:
Hf1 0.024 0.250 0.145
Hf2 0.476 0.750 0.645
Hf3 0.524 0.250 0.355
Hf4 0.976 0.750 0.855
Bi1 0.132 0.250 0.614
Bi2 0.368 0.750 0.114
Bi3 0.632 0.250 0.886
Bi4 0.868 0.750 0.386
Pt1 0.216 0.250 0.905
Pt2 0.284 0.750 0.405
Pt3 0.716 0.250 0.595
Pt4 0.784 0.750 0.095

Peak list (10 most intense, 2θ from 5° to 70°, low angle first)
(1 1 2), 2θ 31.56, I 100; (2 1 0), 2θ 33.97, I 65; (2 1 1), 2θ 35.23, I 60; (0 1 3), 2θ 35.52, I 42; (0 0 4), 2θ 36.85, I 56; (3 0 2), 2θ 42.96, I 35; (2 1 3), 2θ 44.20, I 35; (0 2 0), 2θ 45.16, I 43; (2 1 4), 2θ 50.99, I 34; (0 2 4), 2θ 59.65, I 28

~~~~~

Record 1
Calculated X-ray diffraction stick pattern of VRu3Rh for Cu Kα X-rays, from a PBE-relaxed structure.
Intensities are scaled so that the largest is 100.

Largest 12 diffraction maxima, low angle first, 2θ from 10° to 80°:
(1 0 1), 21.01°, d 4.228, rel. 76
(0 0 3), 21.18°, d 4.194, rel. 65
(0 2 1), 40.88°, d 2.207, rel. 61
(0 1 5), 41.12°, d 2.195, rel. 13
(2 0 2), 42.78°, d 2.114, rel. 100
(0 0 6), 43.13°, d 2.097, rel. 33
(0 2 4), 49.91°, d 1.827, rel. 63
(2 1 1), 54.58°, d 1.681, rel. 12
(2 0 5), 54.80°, d 1.675, rel. 14
(2 2 0), 73.01°, d 1.296, rel. 20
(2 0 8), 73.52°, d 1.288, rel. 19
(2 2 3), 77.00°, d 1.238, rel. 14

Structure:
a = 5.1833 Å, b = 5.1833 Å, c = 12.5835 Å
α = 90.00°, β = 90.00°, γ = 120.00°
Space group R-3m (No. 166, hexagonal axes)
Unique sites:
V 0.0000 0.0000 0.0000 (multiplicity 3)
Ru 0.0000 0.5000 0.0000 (multiplicity 9)
Rh 0.0000 0.0000 0.5000 (multiplicity 3)


Record 2
Calculated X-ray diffraction stick pattern of V4Ru2Rh3 for Cu Kα X-rays, from a PBE-relaxed structure.
Intensities are scaled so that the largest is 100.

Largest 12 diffraction maxima, low angle first, 2θ from 10° to 80°:
(1 0 1), 26.62°, d 3.348, rel. 8
(1 0 2), 33.05°, d 2.710, rel. 28
(0 1 3), 41.83°, d 2.160, rel. 95
(1 1 0), 42.46°, d 2.129, rel. 100
(0 2 2), 54.84°, d 1.674, rel. 7
(0 0 5), 57.66°, d 1.599, rel. 4
(2 0 3), 61.13°, d 1.516, rel. 29
(2 1 2), 71.72°, d 1.316, rel. 6
(1 1 5), 74.18°, d 1.278, rel. 11
(1 0 6), 75.94°, d 1.253, rel. 11
(1 2 3), 77.25°, d 1.235, rel. 29
(3 0 0), 77.69°, d 1.229, rel. 16

Structure:
a = 4.2578 Å, b = 4.2578 Å, c = 7.9936 Å
α = 90.00°, β = 90.00°, γ = 120.00°
Space group P-3m1 (No. 164)
Unique sites:
V 0.0000 0.0000 0.1522 (multiplicity 2)
V 0.3333 0.6667 0.6040 (multiplicity 2)
Ru 0.3333 0.6667 0.2892 (multiplicity 2)
Rh 0.0000 0.0000 0.5000 (multiplicity 1)
Rh 0.3333 0.6667 0.9143 (multiplicity 2)


Record 3
Calculated X-ray diffraction stick pattern of Ru3Rh2W3 for Cu Kα X-rays, from a PBE-relaxed structure.
Intensities are scaled so that the largest is 100.

Largest 12 diffraction maxima, low angle first, 2θ from 10° to 80°:
(0 0 1), 11.30°, d 7.831, rel. 1
(1 0 0), 23.05°, d 3.858, rel. 5
(0 1 2), 32.39°, d 2.764, rel. 4
(1 1 2), 40.13°, d 2.247, rel. 100
(0 0 4), 46.38°, d 1.958, rel. 16
(0 2 0), 46.55°, d 1.951, rel. 16
(2 0 0), 47.11°, d 1.929, rel. 16
(1 0 4), 52.41°, d 1.746, rel. 1
(2 1 2), 58.34°, d 1.582, rel. 2
(0 2 4), 67.81°, d 1.382, rel. 10
(2 0 4), 68.26°, d 1.374, rel. 10
(2 2 0), 68.39°, d 1.372, rel. 10

Structure:
a = 3.858 Å, b = 3.902 Å, c = 7.831 Å
α = 90.00°, β = 90.00°, γ = 90.00°
Space group Pmmm (No. 47)
Unique sites:
Ru 0.000 0.000 0.000 (multiplicity 1)
Ru 0.000 0.000 0.500 (multiplicity 1)
Ru 0.500 0.500 0.000 (multiplicity 1)
Rh 0.000 0.500 0.247 (multiplicity 2)
W 0.500 0.000 0.243 (multiplicity 2)
W 0.500 0.500 0.500 (multiplicity 1)


Record 4
Calculated X-ray diffraction stick pattern of Ru5RhW2 for Cu Kα X-rays, from a PBE-relaxed structure.
Intensities are scaled so that the largest is 100.

Largest 12 diffraction maxima, low angle first, 2θ from 10° to 80°:
(1 1 0), 22.96°, d 3.873, rel. 5
(0 0 2), 23.10°, d 3.850, rel. 3
(2 0 0), 32.76°, d 2.733, rel. 6
~~~

What to do:
Return everything further up with every line break kept, please.

Reply:
# HfBiPt
Theoretical powder diffraction line list, CuKα. Input: DFT lattice parameters and positions (GGA-PBE).

Cell lengths 7.002, 4.015, 9.757 Å; angles 90.00, 90.00, 90.00 degrees
Fractional positions:
Hf1 0.024 0.250 0.145
Hf2 0.476 0.750 0.645
Hf3 0.524 0.250 0.355
Hf4 0.976 0.750 0.855
Bi1 0.132 0.250 0.614
Bi2 0.368 0.750 0.114
Bi3 0.632 0.250 0.886
Bi4 0.868 0.750 0.386
Pt1 0.216 0.250 0.905
Pt2 0.284 0.750 0.405
Pt3 0.716 0.250 0.595
Pt4 0.784 0.750 0.095

Peak list (10 most intense, 2θ from 5° to 70°, low angle first)
(1 1 2), 2θ 31.56, I 100; (2 1 0), 2θ 33.97, I 65; (2 1 1), 2θ 35.23, I 60; (0 1 3), 2θ 35.52, I 42; (0 0 4), 2θ 36.85, I 56; (3 0 2), 2θ 42.96, I 35; (2 1 3), 2θ 44.20, I 35; (0 2 0), 2θ 45.16, I 43; (2 1 4), 2θ 50.99, I 34; (0 2 4), 2θ 59.65, I 28

~~~~~

Record 1
Calculated X-ray diffraction stick pattern of VRu3Rh for Cu Kα X-rays, from a PBE-relaxed structure.
Intensities are scaled so that the largest is 100.

Largest 12 diffraction maxima, low angle first, 2θ from 10° to 80°:
(1 0 1), 21.01°, d 4.228, rel. 76
(0 0 3), 21.18°, d 4.194, rel. 65
(0 2 1), 40.88°, d 2.207, rel. 61
(0 1 5), 41.12°, d 2.195, rel. 13
(2 0 2), 42.78°, d 2.114, rel. 100
(0 0 6), 43.13°, d 2.097, rel. 33
(0 2 4), 49.91°, d 1.827, rel. 63
(2 1 1), 54.58°, d 1.681, rel. 12
(2 0 5), 54.80°, d 1.675, rel. 14
(2 2 0), 73.01°, d 1.296, rel. 20
(2 0 8), 73.52°, d 1.288, rel. 19
(2 2 3), 77.00°, d 1.238, rel. 14

Structure:
a = 5.1833 Å, b = 5.1833 Å, c = 12.5835 Å
α = 90.00°, β = 90.00°, γ = 120.00°
Space group R-3m (No. 166, hexagonal axes)
Unique sites:
V 0.0000 0.0000 0.0000 (multiplicity 3)
Ru 0.0000 0.5000 0.0000 (multiplicity 9)
Rh 0.0000 0.0000 0.5000 (multiplicity 3)


Record 2
Calculated X-ray diffraction stick pattern of V4Ru2Rh3 for Cu Kα X-rays, from a PBE-relaxed structure.
Intensities are scaled so that the largest is 100.

Largest 12 diffraction maxima, low angle first, 2θ from 10° to 80°:
(1 0 1), 26.62°, d 3.348, rel. 8
(1 0 2), 33.05°, d 2.710, rel. 28
(0 1 3), 41.83°, d 2.160, rel. 95
(1 1 0), 42.46°, d 2.129, rel. 100
(0 2 2), 54.84°, d 1.674, rel. 7
(0 0 5), 57.66°, d 1.599, rel. 4
(2 0 3), 61.13°, d 1.516, rel. 29
(2 1 2), 71.72°, d 1.316, rel. 6
(1 1 5), 74.18°, d 1.278, rel. 11
(1 0 6), 75.94°, d 1.253, rel. 11
(1 2 3), 77.25°, d 1.235, rel. 29
(3 0 0), 77.69°, d 1.229, rel. 16

Structure:
a = 4.2578 Å, b = 4.2578 Å, c = 7.9936 Å
α = 90.00°, β = 90.00°, γ = 120.00°
Space group P-3m1 (No. 164)
Unique sites:
V 0.0000 0.0000 0.1522 (multiplicity 2)
V 0.3333 0.6667 0.6040 (multiplicity 2)
Ru 0.3333 0.6667 0.2892 (multiplicity 2)
Rh 0.0000 0.0000 0.5000 (multiplicity 1)
Rh 0.3333 0.6667 0.9143 (multiplicity 2)


Record 3
Calculated X-ray diffraction stick pattern of Ru3Rh2W3 for Cu Kα X-rays, from a PBE-relaxed structure.
Intensities are scaled so that the largest is 100.

Largest 12 diffraction maxima, low angle first, 2θ from 10° to 80°:
(0 0 1), 11.30°, d 7.831, rel. 1
(1 0 0), 23.05°, d 3.858, rel. 5
(0 1 2), 32.39°, d 2.764, rel. 4
(1 1 2), 40.13°, d 2.247, rel. 100
(0 0 4), 46.38°, d 1.958, rel. 16
(0 2 0), 46.55°, d 1.951, rel. 16
(2 0 0), 47.11°, d 1.929, rel. 16
(1 0 4), 52.41°, d 1.746, rel. 1
(2 1 2), 58.34°, d 1.582, rel. 2
(0 2 4), 67.81°, d 1.382, rel. 10
(2 0 4), 68.26°, d 1.374, rel. 10
(2 2 0), 68.39°, d 1.372, rel. 10

Structure:
a = 3.858 Å, b = 3.902 Å, c = 7.831 Å
α = 90.00°, β = 90.00°, γ = 90.00°
Space group Pmmm (No. 47)
Unique sites:
Ru 0.000 0.000 0.000 (multiplicity 1)
Ru 0.000 0.000 0.500 (multiplicity 1)
Ru 0.500 0.500 0.000 (multiplicity 1)
Rh 0.000 0.500 0.247 (multiplicity 2)
W 0.500 0.000 0.243 (multiplicity 2)
W 0.500 0.500 0.500 (multiplicity 1)


Record 4
Calculated X-ray diffraction stick pattern of Ru5RhW2 for Cu Kα X-rays, from a PBE-relaxed structure.
Intensities are scaled so that the largest is 100.

Largest 12 diffraction maxima, low angle first, 2θ from 10° to 80°:
(1 1 0), 22.96°, d 3.873, rel. 5
(0 0 2), 23.10°, d 3.850, rel. 3
(2 0 0), 32.76°, d 2.733, rel. 6